Now set down the data further below from the first line to the one with "-1.4320 0.2421" unchanged.
........
(1)
C27H49HfN5O4P3 | ωB97M-V with the def2-TZVPD basis set

Geometry as ORCA input:
```
! RIJCOSX wB97M-V def2-TZVPD def2/J DEFGRID3
* xyz 3 1
C 2.1332 -2.4501 -3.2432
C -2.3543 2.8132 -1.1241
H -2.6649 -4.4612 -0.5777
C 1.1929 -1.4487 -3.4075
H 2.3775 -3.1190 -4.0590
H 5.4278 0.4990 1.6782
P -1.1853 -2.6902 0.3385
C -0.2360 0.0192 5.0720
H 0.5567 3.4267 -1.5925
N -3.2799 1.7559 -1.2643
P -0.3655 0.7585 -2.6428
H 1.5347 -3.4265 -0.2400
O -1.3084 -1.1872 0.2660
H -3.2121 -1.3537 -3.8019
H -2.7256 -0.7248 4.2691
H -4.1581 2.0449 -1.6802
O -1.5952 2.6767 0.0053
C 2.7818 -2.5392 -2.0224
H -1.5776 -1.9856 -3.5831
H 0.4046 -0.8034 4.7450
H 2.0075 2.4059 -1.8103
H 1.0814 1.2003 -5.2953
H 1.7625 3.8485 -2.7862
H 2.3446 1.1772 -4.0574
C 1.5307 1.7673 -4.4829
H -0.9228 -0.3700 5.8271
H -3.8192 0.0116 -0.5212
H 0.3858 0.7658 5.5614
H -0.2636 2.8068 -3.8273
H -4.2368 -4.1145 -0.1157
C 0.2675 -3.0794 1.3926
H -0.8211 3.4791 2.8156
H -0.6766 -0.4677 -5.6029
C -1.4320 0.2421 -5.2698
N 1.2129 -3.9416 0.5958
C -2.2517 -1.1712 -3.3152
N -3.3156 -4.3816 0.2305
H 0.5993 3.6726 0.7925
H 0.7562 -4.7869 0.2435
C 0.5333 2.1906 -3.4035
H 2.0320 -4.2111 1.1448
H -2.3599 -0.0103 -5.7875
C -2.7186 -3.3397 1.1580
Hf -0.7980 0.9138 -0.0403
H -2.6967 -0.0855 2.6236
C 0.7677 3.3608 4.2535
H 2.1725 0.7686 4.4026
C -1.0502 0.5902 3.9116
N -3.3470 0.8373 -0.1743
P -0.0649 1.2710 2.5023
C 0.8783 -0.5482 -2.3879
H 0.1925 2.9056 5.0614
H -3.4138 -5.2949 0.6748
H 1.1792 4.7800 2.0174
C 1.5330 -0.6360 -1.1400
C 2.5315 0.6317 3.3941
H -2.3974 -1.2179 -2.2312
H 3.8614 0.4399 -0.2022
C 0.1936 3.0701 2.8681
C 4.3626 0.4867 1.8738
H 1.9699 2.6667 -4.9189
H 0.7440 4.4401 4.4153
C -2.0706 -0.4491 3.4415
H 3.0892 -1.6975 -0.0953
C 1.2516 3.0037 -2.3219
H -3.9141 1.2339 0.5730
C 1.6175 0.6060 2.3314
H -2.5145 -3.7984 2.1236
H -0.0166 -3.6090 2.2996
C -1.7041 0.1878 -3.7655
H -2.4694 0.9385 -3.5606
O -2.2259 3.6363 -1.9701
H -1.5581 -1.3572 3.1034
H 0.7933 -2.1611 1.6638
H -3.4389 -2.5418 1.3094
C 2.4788 -1.6616 -0.9881
H 0.7070 -1.3471 -4.3679
C 1.0522 3.7225 1.7825
H 4.5803 0.5410 4.0162
H -1.5997 1.4705 4.2554
C 3.8925 0.5299 3.1805
C 3.4762 0.4442 0.8108
N 1.1923 0.2727 -0.0885
H 3.5590 -3.2829 -1.8730
C 2.0977 0.4267 1.0147
H 2.0493 3.2770 1.7458
O -1.0488 -3.5495 -0.8783
H -1.1449 1.2394 -5.5983
H 1.8084 3.0467 4.3309
*
```

Output
energy relative to the best compared isomer or geometry (same formula, charge and spin)	137.0	kJ/mol
HOMO	-15.415	eV


(2)
H12O6 | ωB97M-V with the def2-TZVPD basis set

Geometry as ORCA input:
```
! RIJCOSX wB97M-V def2-TZVPD def2/J DEFGRID3
* xyz 0 1
H -39.2730 -1.6417 -14.0501
O -39.1259 -1.9114 -17.3727
H -41.9113 -0.4672 -16.1820
H -43.8110 -2.0220 -15.6211
H -41.1923 0.3508 -17.2050
H -41.4711 1.2015 -19.1418
H -39.8155 -0.7152 -14.9506
O -40.9672 -0.1748 -16.3388
H -39.6217 -2.1539 -18.1257
O -43.4622 -1.1462 -15.3215
H -39.6949 -1.2204 -17.1036
H -40.4930 2.0288 -18.3054
H -43.4904 -1.0799 -14.4039
H -45.8359 0.6246 -16.2705
O -44.9310 0.8602 -16.3318
O -41.2778 1.6931 -18.2899
H -44.5046 0.1029 -15.9568
O -39.2084 -0.6858 -14.1645
*
```

Output
energy relative to the best compared isomer or geometry (same formula, charge and spin)	209.8	kJ/mol
HOMO	-10.491	eV
SMILES	O.O.O.O.O.O


(3)
C24H64N5O8 | ωB97M-V with the def2-TZVPD basis set

Geometry as ORCA input:
```
! RIJCOSX wB97M-V def2-TZVPD def2/J DEFGRID3
* xyz 1 1
H 32.9250 13.6450 6.1310
H 37.2680 11.2220 -2.2410
H 35.1480 5.2870 0.1510
H 44.0410 7.8630 -6.9100
H 36.0400 13.6570 5.8960
O 43.7360 8.9890 -5.3020
H 37.5360 6.6060 -1.1880
H 31.2330 14.2620 7.6560
O 33.0300 6.5030 1.3860
H 34.7420 7.2060 2.3240
O 39.3290 7.5020 0.5180
H 39.7120 14.1470 -0.6950
H 36.8020 13.1400 -0.7370
N 40.3780 8.5930 -3.6360
H 33.6950 15.2890 4.6080
C 32.0700 6.7270 2.5080
H 34.5390 9.6970 4.9190
C 41.4840 9.4650 -4.2780
H 39.4400 9.8750 4.3210
C 36.1030 11.9630 4.0290
H 41.8910 8.2170 -6.1120
C 38.3330 8.6390 -2.1400
H 37.3700 9.0320 1.4990
O 37.5960 9.4000 -1.1740
H 45.4760 8.7520 -6.2220
........
(1)
C27H49HfN5O4P3 | ωB97M-V with the def2-TZVPD basis set

Geometry as ORCA input:
```
! RIJCOSX wB97M-V def2-TZVPD def2/J DEFGRID3
* xyz 3 1
C 2.1332 -2.4501 -3.2432
C -2.3543 2.8132 -1.1241
H -2.6649 -4.4612 -0.5777
C 1.1929 -1.4487 -3.4075
H 2.3775 -3.1190 -4.0590
H 5.4278 0.4990 1.6782
P -1.1853 -2.6902 0.3385
C -0.2360 0.0192 5.0720
H 0.5567 3.4267 -1.5925
N -3.2799 1.7559 -1.2643
P -0.3655 0.7585 -2.6428
H 1.5347 -3.4265 -0.2400
O -1.3084 -1.1872 0.2660
H -3.2121 -1.3537 -3.8019
H -2.7256 -0.7248 4.2691
H -4.1581 2.0449 -1.6802
O -1.5952 2.6767 0.0053
C 2.7818 -2.5392 -2.0224
H -1.5776 -1.9856 -3.5831
H 0.4046 -0.8034 4.7450
H 2.0075 2.4059 -1.8103
H 1.0814 1.2003 -5.2953
H 1.7625 3.8485 -2.7862
H 2.3446 1.1772 -4.0574
C 1.5307 1.7673 -4.4829
H -0.9228 -0.3700 5.8271
H -3.8192 0.0116 -0.5212
H 0.3858 0.7658 5.5614
H -0.2636 2.8068 -3.8273
H -4.2368 -4.1145 -0.1157
C 0.2675 -3.0794 1.3926
H -0.8211 3.4791 2.8156
H -0.6766 -0.4677 -5.6029
C -1.4320 0.2421 -5.2698